NIPS 2018
Sun Dec 2nd through Sat the 8th, 2018 at Palais des Congrès de Montréal
Paper ID:2074
Title:Scalable Coordinated Exploration in Concurrent Reinforcement Learning

Reviewer 1

Main ideas of the submission The authors investigate the problem of efficient coordinated concurrent exploration in environments too large to be addressed by tabular, model-based methods. This is a continuation of [1], where the principles of seed sampling were developed for efficient coordinated concurrent exploration, using a tabular model based algorithm. Since the algorithm was only tested on trivial tasks in [1], the authors first demonstrate the effectiveness of this tabular method on a more challenging problem (swinging up and balancing a pole), compared to trivial extensions of known methods (UCB, Posterior sampling) to the concurrent setting. Following that, they suggest a model-free extension to seeding that is based on function approximation with randomized value functions [9] – a concept that facilitates the combination of the seeding principle with generalization. The authors also suggest some concrete algorithms (SLSVI, STD) that support this concept, show that its performance on the trivial examples of [1] is comparable to that of tabular seed sampling, and show its effectiveness on another pole-balancing problem, which is too difficult to be addressed by tabular methods. Strong points • Showing that the tabular seed sampling method suggested in [1] is effective compared to other concurrent exploration methods, even on the more difficult problem of balancing up and stabilizing a pole. • Extending the seeding idea in [1] to complex continuous environments. • Although the authors suggest some concrete algorithm implementations (SLSVI, STD) – the concept itself is very general and can be employed in various versions. • The authors also discuss attempts to lower the computational cost – such as limiting the number of operating models (section 3.2.3). • The suggested method is shown to achieve a performance, which is almost as good as the one achieved by the tabular seeding method from [1], although the current method has a much less informative prior. They also use a high dimensional task to demonstrate that the exploration becomes more efficient as the number of agents increases, and is more efficient than \epsilon-greedy high dimensional exploration. Weak points and suggestions • Although seeding is a promising principle for efficient concurrent exploration, this idea is not backed up by any theoretical analysis and the benefits are only exemplified computationally. Although [14] has developed provable upper exploration cost bounds for the concurrent exploration case, [12] and [9] have only developed such results only for the single-agent case. In a wider perspective, while the current submission and [1] repeatedly claim that they have found three necessary properties for efficient concurrent exploration, there is no supporting theory for that. • The concrete suggested algorithms essentially rely on existing methods (LSVI and TD) for which the computational cost has been well tested in previous work. The only additional cost per agent is the drawing of a random seed, and they also suggest a way to limit the number of active models to save computational costs. This means that essentially – the computational cost of the algorithm itself is the number of active models times the exploration cost for a single agent. I think that this should be noted in the submission, so that the readers are able to compare the computational requirements with previous works. • The seeding method suggested in this paper is quite general, and lacks some guidelines on how to choose the distribution of the seed Z. The authors of [1], make the effort to show that the distribution of the seed Z at the beginning of the episode, is chosen in a specific manner so that at each time - \hat\theta(z,H_t)\sim \theta|H_t (Where \theta|H_t is the posterior estimation of the model parameter \theta, based on the history up to that time H_t, and \hat\theta(z,H_t) is the parameter chosen by an agent based on a seed z and history H_t. Note that the randomness stems from the seed z). However, there is no indication at all on a how to effectively choose the seed Z in the current submission. Although the concept of a randomizing seed is intuitive, a poor choice can ruin the exploration (as the seed acts to modify sampled rewards), which makes this work incomplete. • The agents all explore the same MDP, but a more interesting situation is concurrent exploration on a set of different environments with some shared properties (as investigated in [14]). Since the environments are not identical, there are some properties that agents should share and some that they should not, and that is another difficulty that the agents must overcome. This also closely relates to the problem of transfer learning. • The two example tasks discussed in the submission (balancing up a pole) are not complicated enough in the sense that the environment is deterministic. It would be interesting to see how the algorithms operate in such a system where, for example, a noisy wind is introduced. Furthermore, the task of steadying a pole can surely benefit from concurrent exploration: When effective, the concurrent exploration can make the learning converge faster. However, there are surely more interesting tasks where concurrent exploration and cooperation between agents is necessary for the achievement of the overall target, and it would be interesting to see if the seeding-method operates well in these tasks too. Technical details: • In the example task of balancing up a pole – the differential equations for the cart and mass are taken from [18] in their references, which seems to direct to the following paper: Cohen, Michael A., and Stephen Grossberg. "Absolute stability of global pattern formation and parallel memory storage by competitive neural networks." IEEE transactions on systems, man, and cybernetics 5 (1983): 815-826. Even when taking the friction \mu to be zero, the equations does not seems to match the ones presented in the submission. • Line 79: There is no detailed explanation regarding the state-actions that receive a reward of 1. For example, it is unclear whether the pole must be balanced with a zero velocity, or must just be in an upright position. In fact, the authors explain it more clearly in the second pole example (Note 1 on page 7 of the submission), but it should be explained here as well. • Line 138: The paraphrasing should be changed, as it is unclear whether the samples perturbed by an agent are also visible to other agents. • The formula for computing \tilde\theta_h used in the SLSVI of section 3.2.1 is said to run for h=H-1,...,0. Since we consider a finite horizon problem in which each agent only takes H actions at each episode – wouldn’t it make more sense for this equation, before the m-th action, to run for only h=H-1,...,m? Since LSVI aims to find the parameters for which the Q-function is the closest to satisfying the finite horizon Bellman equations, restricting this equation to h=H-1,...,m means that at the m-th action, this would be the next choice considering that there are only H-m transitions left. • The minimization operation present in the formula for computing L(\theta) following eq. 209 seems to be a typo, since a minimization operation is the purpose of the SGD. Furthermore, there seems to be a discount factor added to this formula – which means that this SGD is used to solve the discounted MDP problem, and not the finite horizon one as stated before. However, this is never specified within the text. • The example tasks of section 4.1 employ the generalized seeding algorithms, but it is not specified how the random seed is set (meaning, the distribution of the random noise terms Z that are added to the rewards is not mentioned) – and thus, these results cannot be reproduced by readers. • Example 4.2 – it is unclear what the "instantaneous reward" axis in figure 3 is. Is it the reward received per agent divided by one second, or is it the reward per time ste

_The piece is interrupted by calculated crystals_
=====
1.
O | PBE | optimized geometry

Unit cell a=3.3427 b=3.3427 c=4.6260 alpha=72.14 beta=72.14 gamma=90.06
Last column: nearest neighbours and their distance in Å.
Atoms (fractional coordinates):
O (0.9373, 0.9373, 0.1479)  1 O 1.23
O (0.0627, 0.0627, 0.8521)  1 O 1.23

As for the formation energy: 1.7 meV/atom. As for the energy relative to the lowest polymorph listed for this composition: 2 meV per atom.



2.
O | PBE | optimized geometry

Unit cell a=5.3698 b=5.3698 c=4.3898 alpha=69.24 beta=69.24 gamma=70.79
Last column: nearest neighbours and their distance in Å.
Atoms (fractional coordinates):
O (0.7265, 0.2139, 0.1554)  1 O 1.23
O (0.7861, 0.2735, 0.8446)  1 O 1.23
O (0.2735, 0.7861, 0.8446)  1 O 1.23
O (0.2139, 0.7265, 0.1554)  1 O 1.23
O (0.7923, 0.7923, 0.1783)  1 O 1.23
O (0.2077, 0.2077, 0.8217)  1 O 1.23
O (0.8518, 0.8518, 0.8674)  1 O 1.23
O (0.1482, 0.1482, 0.1326)  1 O 1.23

As for the formation energy: 0.0 meV/atom. As for the energy relative to the lowest polymorph listed for this composition: 0 meV per atom.



3.
O | PBE | optimized geometry

Unit cell a=5.2875 b=5.2875 c=5.2875 alpha=70.16 beta=70.16 gamma=70.16
Last column: nearest neighbours and their distance in Å.
Atoms (fractional coordinates):
O (0.0787, 0.2286, 0.9526)  2 O 1.45
O (0.2286, 0.9526, 0.0787)  2 O 1.45
O (0.9526, 0.0787, 0.2286)  2 O 1.45
O (0.5787, 0.4526, 0.7286)  2 O 1.45
O (0.7286, 0.5787, 0.4526)  2 O 1.45
O (0.4526, 0.7286, 0.5787)  2 O 1.45

As for the formation energy: 916.3 meV/atom. As for the energy relative to the lowest polymorph listed for this composition: 916 meV per atom.



4.
O | PBE | optimized geometry

Unit cell a=5.4319 b=5.4319 c=3.4064 alpha=75.61 beta=75.61 gamma=102.31
Last column: nearest neighbours and their distance in Å.
Atoms (fractional coordinates):
O (0.7750, 0.1139, 0.6471)  1 O 1.22
O (0.8861, 0.2250, 0.8529)  1 O 1.22
O (0.2250, 0.8861, 0.3529)  1 O 1.22
O (0.1139, 0.7750, 0.1471)  1 O 1.22
O (0.7177, 0.7533, 0.8277)  3 O 1.73-1.83
O (0.2467, 0.2823, 0.6723)  3 O 1.73-1.83
O (0.2823, 0.2467, 0.1723)  3 O 1.73-1.83
O (0.7533, 0.7177, 0.3277)  3 O 1.73-1.83

As for the formation energy: 769.0 meV/atom. As for the energy relative to the lowest polymorph listed for this composition: 769 meV per atom.



5.
O | PBE | optimized geometry

Unit cell a=3.7895 b=3.1170 c=3.8923 alpha=71.35 beta=90.00 gamma=90.00
Last column: nearest neighbours and their distance in Å.
Atoms (fractional coordinates):
O (0.3059, 0.3187, 0.3330)  1 O 1.23
O (0.3059, 0.1813, 0.6670)  1 O 1.23
O (0.6941, 0.6813, 0.6670)  1 O 1.23
O (0.6941, 0.8187, 0.3330)  1 O 1.23

As for the formation energy: 30.0 meV/atom. As for the energy relative to the lowest polymorph listed for this composition: 30 meV per atom.



6.
O | PBE | optimized geometry

Unit cell a=2.4139 b=2.4139 c=4.1781 alpha=102.92 beta=102.92 gamma=103.06
Last column: nearest neighbours and their distance in Å.
Atoms (fractional coordinates):
O (0.5789, 0.5789, 0.1578)  1 O 1.23
=====

Reviewer 2

This paper proposes an extension of seed sampling for coordinated exploration to enable scalable learning to high dimensional problems. The first set of experimental results in Section 2, feels like an incremental extension of a previous publication (cited by the authors as [1]) as it is not justified well as a direct contribution to the topic of this specific paper and uses the algorithm proposed in the previous paper not the new algorithms proposed in this paper. This section also assumes a significant amount of prior knowledge of the previous work. I would recommend this space would have been better utilised to give a detailed description of seed sampling so that the paper is a self contained reference on scalable seed sampling. The experiment in Section 2, uses a reasonable set of baselines with good alignment with the conditions the authors argue are necessary for concurrent exploration. However, the UCRL method used is a weak baseline and a fairer comparison would be to parallel UCB. As a starting point for exploring the literature on these methods, I would suggest the papers: - T. Cazenave and N. Jouandeau, “On the Parallelization of UCT,” 2007 - G. M. J.-B. Chaslot, M. H. M. Winands, and H. J. van den Herik, “Parallel Monte-Carlo Tree Search.” 2008 - A. Bourki, G. M. J.-B. Chaslot, M. Coulm, V. Danjean, H. Doghmen, J.B. Hoock, T. H´erault, A. Rimmel, F. Teytaud, O. Teytaud, P. Vayssi`ere, and Z. Yu, “Scalability and Parallelization of Monte-Carlo Tree Search” 2010 In Section 3, the authors propose three algorithms that are later tested (seed LSVI, seed TD and seed ensembles). They then argue that this method could also be applied to policy function approximation, which seems feasible but is not empirically demonstrated. I would argue that, given the motivation of scalable approaches, an evaluation of using seed sampling with a modern policy gradient algorithm would have been more insightful than seed LSVI as LSVI is known not to scale well. The results in Section 4.1 are promising and a useful comparison for understanding the effect of the changes proposed in this paper. The authors have again done a great job of aligning the example problem domains and baseline comparisons with the beneficial features of the method they are proposing. However, Section 4.2 is less impressive and (as the single large scale experiment in a paper on scaling up an existing method) significantly weakens the contribution of the paper. Specifically, I would note that this section does not provide sufficient details of the hyperparameters used to reproduce this experiment and compares against a weak baseline. Why hold the number of agents for DQN fixed whilst modifying the number for the proposed method? Why only compare against a baseline that never learns to improve above a random policy? Are there no existing methods (perhaps ones that are significantly more sample inefficient) that can learn to act in this problem domain? During the rebuttal period, it would be useful for the authors to discuss the motivation for including the experiments of Section 2 within this paper and to justify the choice of baseline or proposed changes for the results in Section 4.2. -- Having carefully considered the authors' response, I have raised my view of the paper to just above the acceptance threshold. Particularly based upon the promise in the response to fully document all hyperparameters in the appendix and to release the source code. These efforts will greatly improve the reproducibility of the paper, and help with the uptake of the work by others to further build upon the results presented.

Reviewer 3

The paper proposes an extension of previous work on seeding to large/continuous problems for concurrent RL agents. This paper's idea builds on previous work on seed sampling and randomized value function learning. In general, this is an interesting problem to tackle given a recent exciting interest in this topic. The extension of the previous seed sampling approach for concurrent RL to higher-dimensional problems via the use of function approximation is neccessary and important. In overall, the paper is well written and easy to follow. The discussion on motivations, background and related work are sufficient. The descriptive example and sanity check example are good to understand the idea. The experiment in 4.2 is though on toy domain, but interesting to see how it works in reality. 1. Section 2: it would be more complete if the authors also present background on the work: randomized value function learning. This piece of work is also one of the building block of the proposed idea in this paper. 2. In Section 3.1: It would be clearer if the authors elaborate how the noise term z for diversification can be used to purturb the same observation in the buffer. This might be related to the comment 1 too, as the foundation on randomized value function learning is not introduced. 3. Section 3.2.1: Seed LSVI is related to randomized LSVI in [12]? How it is linked to the previous seeding method in [1]? More discussion and analysis on sampling of z and its use in value function updates are needed. Similar to the extension of Seed TD and Seed Ensemble. More analysis on their committment, Diversification, and Adaptation: why, and how. This might be related to the comment 1 too, as the foundation on randomized value function learning is not introduced. Though refering the the paper [9] but there is still gap in understanding the proposed idea that is based on the idea of randomized value function learning in [9]. 4. Section 3.2.3: The description of the Seed Ensemle is so short that it's not clear to see how ensemble model would be used in each step for each agent. 5. The idea has been proved in a toy domain, but it would be much nicer and make the paper stronger if more experiments on larger domains or more complex domains as discussed in Section 5 for future work can be added. Given the above concerns, I thought that the paper has interesting ideas but seems to be premature to publish at NIPS. ------------------------------------------- I have read the response and decide to raise my rating to borderline (5)